Heart disease and stroke are the leading causes of death in the United States. For decades, a daily low-dose (baby) aspirin has been prescribed to lower the risk of a first heart attack or stroke in people with cardiovascular disease. But daily aspirin is not without risk of bleeding, and it’s not beneficial for everyone with heart disease.
The U.S. Preventive Services Task Force issued updated draft guidance for the use of low-dose aspirin to prevent heart attack, stroke, and other cardiac events in certain patient populations with heart disease based on age and risk. The committee, comprised of physicians that include proceduralists, general cardiologists, and epidemiologists, compiled a new data set using all existing studies on the topic. They examined best practices data, randomized trials, and meta-analyses to make new guidelines that are clear and easy to read but require a bit of context to understand.
While headlines ran with a black-and-white presentation of the Task Force draft guidelines, like “Taking aspirin to prevent heart attack may cause more harm than good,” cardiologists and cardiothoracic surgeons urge focus on the nuanced approach outlined by the guidance itself. After all, heart disease is as individual as we are.
To make sense of the chatter around these updated guidelines, we sat down with Isaac George, MD, heart surgeon and Surgical Director of the Heart Valve Center at Columbia.
Generally speaking, how did the recommendation of daily baby aspirin start, and who was it for?
Your risk of cardiovascular disease goes up as you age, and a daily dose of aspirin has been documented to reduce the risk of cardiovascular events in patients who have heart disease. It’s always been this way for those with heart disease and who haven’t had a cardiac event yet.
But there's always been the question, "Do you gain benefit if you are doing this for prevention purposes and if you have varying levels of cardiac disease? What’s the proper risk/benefit ratio in using aspirin for patients as they get older?”
Aspirin provides other benefits as you get older too. You'll reduce your risk of certain cancers, particularly colorectal cancer or colon cancer. And there are some anti-inflammatory benefits. But that is always offset by the downside of aspirin, which is gastrointestinal bleeding. And those events can have substantial morbidity and mortality, particularly in patients as they get older, they get re-admitted for hospitalizations. And those hospitalizations can be severe enough that it affects their overall lifespan.
It seems that the general message had been “baby aspirin is good.” Does that mean a lot of people have been prescribed it indiscriminately and some have gotten complications from that?
Yeah absolutely, that’s always been the message, and it was associated semantically with cardiovascular disease. So, the thought was, "Look, anyone who has any risk for cardiovascular disease should just be on a baby aspirin." And that was actually not uncommon, the message that was out there for a long time, 20, 30 years.
And we weren’t focused on who really needs it and who doesn't need it. And I think that's what they're trying to do. The public message presented now is, "Maybe baby aspirin isn't helpful at all." And that's not necessarily the right message either. There is data from certain studies, including the Dallas Heart Study, that show that aspirin in patients who have a high calcium score, and patients who have higher risk scores, will be significant in reducing cardiovascular events.
So, there is data to support the use of aspirin in these patient populations. There's no question it can save lives.
How exactly have these new guidelines changed prescription practices?
These guidelines are an adjustment. They're trying to re-summarize the data in terms of its overall risk/benefit ratio in patients from varying cardiovascular risk levels as they get older and older, and as we've accumulated more and more data. You know, it says “people 40 to 59 should decide with their clinician whether to start taking aspirin, and people 60 or older should not start taking aspirin ” because the risk of bleeding could outweigh the benefit. From there we should do individual risk assessments.
So, these guidelines are really honing in on what’s best for the individual within age and risk parameters.
Exactly. A lot of the public message going around in response is, "Don't take aspirin, it's going to cause bleeding, it's not worth it, it's not going to help you." And that's not correct. I think it really just needs to be nuanced like you’re saying.
You’ve mentioned patients with high calcium scores and risk assessment scores, so, who are the patients who should take aspirin?
The data initially was always very positive, and everyone was on an aspirin. Now we've cut that down to a baby aspirin—patients are on 81 milligrams. We know that patients don't tolerate a full dose of Aspirin, and 81 milligrams will give the purported benefits for cardiovascular risk reduction without some of the other side effects.
So, right now, these guidelines are proposed to try to hone in on the populations that will really receive the best risk reductions on the cardiovascular side, and avoid the bleeding events in the patients that aren't going to generate as much benefit, or have no benefit, or have little data for its use.
What it's suggesting is that you continue to use aspirin for primary prevention of heart attack or stroke. Again, not for people who've had a bypass, or have had stents. It’s for patients who have not had a primary cardiovascular event. And to use aspirin if they have an accumulated risk of an event, by risk scores of greater than ten percent over ten years.
When talking about risk scores, how do you determine those metrics?
There are online calculators that you can use to determine risk scores. A number of different studies have supported the practice of using these risk scores. It's not something that we all practice on a daily basis, but it's something that we need to do more of when evaluating these kinds of risks.
I also think it's important to continue to use the literature that we have on risk stratification. One of the biggest things that we've been using in the last five years has been calcium scoring. So, patients who have some kind of risk level, and on their face, they look fine. Maybe they exercise, maybe they do the things that they need to do, or they tell you they are. But then you put them under a scanner and you get a calcium score, that's a really good way to figure out, "Are you high risk, low risk? Are you in-between?"
-- Calculated crystals from another source follow --
- - -
1.
The following is a computed X-ray powder pattern of Sr3Zn2Ga4. It was derived from DFT lattice parameters and positions (GGA-PBE), using Cu Kα (λ = 1.5418 Å).
Lines closer than 0.1° are merged.

Largest 8 diffraction maxima, by angle, 5 to 70 degrees two-theta:
- 2θ = 19.94°, rel. 6
- 2θ = 30.58°, rel. 100
- 2θ = 40.29°, rel. 50
- 2θ = 40.53°, rel. 16
- 2θ = 51.41°, rel. 23
- 2θ = 58.48°, rel. 32
- 2θ = 67.27°, rel. 20
- 2θ = 67.60°, rel. 9

Structural model:
```
data_Sr3Zn2Ga4
_cell_length_a 4.477
_cell_length_b 4.477
_cell_length_c 26.710
_cell_angle_alpha 90.00
_cell_angle_beta 90.00
_cell_angle_gamma 120.00
_symmetry_space_group_name_H-M 'P 1'
_symmetry_Int_Tables_number 1
loop_
_symmetry_equiv_pos_as_xyz
'x,y,z'
loop_
_atom_site_label
_atom_site_type_symbol
_atom_site_fract_x
_atom_site_fract_y
_atom_site_fract_z
_atom_site_occupancy
Sr1 Sr 0.000 0.000 0.000 1
Sr2 Sr 0.000 0.000 0.162 1
Sr3 Sr 0.000 0.000 0.331 1
Sr4 Sr 0.000 0.000 0.498 1
Sr5 Sr 0.000 0.000 0.667 1
Sr6 Sr 0.000 0.000 0.828 1
Zn1 Zn 0.333 0.667 0.414 1
Zn2 Zn 0.667 0.333 0.081 1
Zn3 Zn 0.667 0.333 0.415 1
Zn4 Zn 0.667 0.333 0.748 1
Ga1 Ga 0.333 0.667 0.082 1
Ga2 Ga 0.333 0.667 0.245 1
Ga3 Ga 0.333 0.667 0.584 1
Ga4 Ga 0.333 0.667 0.746 1
Ga5 Ga 0.333 0.667 0.914 1
Ga6 Ga 0.667 0.333 0.251 1
Ga7 Ga 0.667 0.333 0.578 1
Ga8 Ga 0.667 0.333 0.914 1
```

2.
The following is a computed X-ray powder pattern of Ta3Ga4. It was derived from DFT lattice parameters and positions (GGA-PBE), using Cu Kα (λ = 1.5418 Å).
Lines closer than 0.1° are merged.

Largest 8 diffraction maxima, by angle, 5 to 70 degrees two-theta:
- 2θ = 8.47°, rel. 15
- 2θ = 16.98°, rel. 18
- 2θ = 29.27°, rel. 19
- 2θ = 37.47°, rel. 63
- 2θ = 40.24°, rel. 100
- 2θ = 41.40°, rel. 8
- 2θ = 54.03°, rel. 22
- 2θ = 69.47°, rel. 40

Structural model:
```
data_Ta3Ga4
_cell_length_a 3.394
_cell_length_b 3.394
_cell_length_c 20.891
_cell_angle_alpha 90.00
_cell_angle_beta 90.00
_cell_angle_gamma 90.00
_symmetry_space_group_name_H-M 'P 1'
_symmetry_Int_Tables_number 1
loop_
_symmetry_equiv_pos_as_xyz
'x,y,z'
loop_
_atom_site_label
_atom_site_type_symbol
_atom_site_fract_x
_atom_site_fract_y
_atom_site_fract_z
_atom_site_occupancy
Ta1 Ta 0.000 0.000 0.000 1
Ta2 Ta 0.000 0.000 0.282 1
Ta3 Ta 0.000 0.000 0.718 1
Ta4 Ta 0.500 0.500 0.218 1
Ta5 Ta 0.500 0.500 0.500 1
Ta6 Ta 0.500 0.500 0.782 1
Ga1 Ga 0.000 0.000 0.144 1
Ga2 Ga 0.000 0.000 0.421 1
Ga3 Ga 0.000 0.000 0.579 1
Ga4 Ga 0.000 0.000 0.856 1
Ga5 Ga 0.500 0.500 0.079 1
Ga6 Ga 0.500 0.500 0.356 1
Ga7 Ga 0.500 0.500 0.644 1
Ga8 Ga 0.500 0.500 0.921 1
```

=====

# NaIn4Bi2
Theoretical powder XRD pattern, λ = 1.5418 Å (Cu Kα). Input: a crystal structure in Alexandria, relaxed with PBE.

Crystal structure
```
NaIn4Bi2
1.0
6.292 0.000 0.000
0.000 12.229 0.000
-1.968 0.000 5.599
Na In Bi
2 8 4
Direct
0.000 0.000 0.000 Na
0.000 0.500 0.500 Na
0.007 0.215 0.501 In
0.007 0.285 0.001 In
0.494 0.698 0.503 In
0.494 0.802 0.003 In
0.506 0.198 0.997 In
0.506 0.302 0.497 In
- - -
-- End of the calculated crystals --
What does a calcium score tell you exactly?
A calcium score shows what your body has been producing in your coronaries and in your heart, and that gives you an estimation of what your event rate potentially would be. If you have a very, very high calcium score but you're very, very healthy and asymptomatic otherwise, what's your management strategy? We don't know exactly. But it does help us guide decisions, and it allows us to say, "Look, we need to watch you much more closely than the person that has a zero calcium score."
Someone, say, who has a very high calcium score but is otherwise healthy, would you recommend they take baby aspirin?
Yes, absolutely. And that is included in the draft guideline. Calcium scoring will work its way into that risk profile. If your calcium score is high, that will ultimately be reflected in that ten-year risk.
Similarly, patients who are diabetic, patients who smoke, patients who have a strong family history of coronary disease, patients who have very abnormal lipids, or high blood pressure. These are all people that potentially may benefit from aspirin because their cardiac risk factors and their profile put them at higher risk.
So these guidelines will give the aspirin recommendation more definition, sort of catching up to the data on who benefits?
Yeah, I think so. And it really needs to be messaged properly so that the news media isn’t saying that no one should take an aspirin, because then we’re going to go the other way and potentially hurt a lot of people who would benefit greatly from it.
I think that definition, to use your word, will also help those 85-year-olds who maybe are not going to benefit from taking aspirin because they're at such high risk for a bleeding event.
Do the guidelines include recommendations for someone who has been taking baby aspirin for a while but is now 85 and maybe would no longer benefit due to risk and age?
I don’t know, that’s a good question. This is a preliminary release so we’ll know more when it comes out in full and is appropriately distributed. Hopefully, it will also reflect more robust suggestions of protocol management and strategies, because with this goes the added burden of what to do with patients who don't fit into any particular category.
And so, I think we can expect that the guidelines will continue to provide very useful information. The draft is very, very interesting. It's actually very enlightening, and you can learn a lot from it. Hopefully, people don't just look at the headlines and take the time to read the draft or read the guidelines themselves. It’s not very long!
Looking at the headlines, there is a lot of “we used to think aspirin was good and now we know it’s bad.” And that sounds very misleading without the context.
Well, at the end of the day, risk matters. Risk stratification matters. I think it's good for patients to be aware of risk. It's good for patients to be aware of their own health, and health awareness is a lifesaver. And these kinds of decisions, aspirin or not, are not necessarily decisions that patients have to make alone.
I think they're best left to their physicians who have experience with this and can look at all of these things with a closer eye and with an understanding of some of the finer details. We want people to go see their physicians and ask them. It's always a discussion.
All of these numbers are just numbers and guidelines. They don't apply to individuals because individuals are not a lump sum. And all of these are personalized decisions that individuals, patients, doctors, have to make. Having the conversation is so important. We really have to be careful that we don't just read the headline, which is what everyone does, including me.
You know, the use of pharmacology, in general, has changed. I think we're a little bit more specific on how much benefit we really get from all of these drugs. Now, we have an explosion of different kinds of drugs that are helping the heart.
We also have an explosion in the understanding of what imaging is showing us. How we use CAT scanning and physiologic scanning, things that we do in the cath lab, things that we do with CT or MRI. And then using that to figure out: “What is your risk of this kind of event?” And we can really put people into much finer buckets as opposed to 20, 30 years ago, where we say, "You're high risk or low risk." It’s exciting. And these aspirin recommendations are really useful in that regard, as care gets more and more individualized.
Further Reading:
- State of the Union: Heart Failure (Part 1)
- State of the Union: LVAD and Heart Transplantation (Part 2)
- State of the Union: Heart Failure and Transplant (Part 3)